_Wanted_
The reader should filter the calculation results underneath: keep the lines with the word "file".
_Listing_
A plane-wave DFT calculation with meta-GGA SCAN was carried out for a crystal of GdAsO4 relaxed with PBEsol. Values from VASP.

Quantum ESPRESSO input file:
```
&SYSTEM
  ibrav = 0, nat = 24, ntyp = 3
/
ATOMIC_SPECIES
Gd 157.25 Gd.upf
As 74.92 As.upf
O 16.00 O.upf
ATOMIC_POSITIONS crystal
Gd 0.411 0.221 0.853
Gd 0.089 0.279 0.353
Gd 0.911 0.721 0.647
Gd 0.589 0.779 0.147
As 0.888 0.198 0.839
As 0.612 0.302 0.339
As 0.388 0.698 0.661
As 0.112 0.802 0.161
O 0.661 0.018 0.895
O 0.994 0.102 0.650
O 0.725 0.109 0.289
O 0.419 0.257 0.508
O 0.775 0.391 0.789
O 0.081 0.243 0.008
O 0.506 0.398 0.150
O 0.839 0.482 0.395
O 0.161 0.518 0.605
O 0.494 0.602 0.850
O 0.919 0.757 0.992
O 0.225 0.609 0.211
O 0.581 0.743 0.492
O 0.275 0.891 0.711
O 0.006 0.898 0.350
O 0.339 0.982 0.105
CELL_PARAMETERS angstrom
-0.076 2.617 6.107
-4.150 -5.346 0.285
5.381 -4.080 1.816
```

E_form (uncorrected) ... -2.53 eV/atom
Relative energy among the computed polymorphs ... 0.22 eV/f.u.

A plane-wave DFT calculation with meta-GGA SCAN was carried out for a crystal of CdAgIr2 relaxed with PBEsol. Values from VASP.

Quantum ESPRESSO input file:
```
&SYSTEM
  ibrav = 0, nat = 4, ntyp = 3
/
ATOMIC_SPECIES
Ir 192.22 Ir.upf
Ag 107.87 Ag.upf
Cd 112.41 Cd.upf
ATOMIC_POSITIONS crystal
Ir 0.250 0.250 0.251
Ir 0.750 0.750 0.749
Ag 0.500 0.500 0.500
Cd 0.000 0.000 0.000
CELL_PARAMETERS angstrom
2.784 -0.001 -0.003
1.391 2.411 -0.003
1.381 0.797 9.269
```

Formation enthalpy at 0 K ... 0.315 eV/atom

A plane-wave DFT calculation with meta-GGA SCAN was carried out for a crystal of RbLiHfBr2 relaxed with PBEsol. Values from VASP.

Quantum ESPRESSO input file:
```
&SYSTEM
  ibrav = 0, nat = 5, ntyp = 4
/
ATOMIC_SPECIES
Hf 178.49 Hf.upf
Br 79.90 Br.upf
Rb 85.47 Rb.upf
Li 6.94 Li.upf
ATOMIC_POSITIONS crystal
Hf 0.500 0.500 0.500
Br 0.000 0.000 0.500
Br 0.000 0.500 0.000
Rb 0.000 0.000 0.000
Li 0.500 0.000 0.000
CELL_PARAMETERS angstrom
5.477 0.000 0.000
0.000 5.941 0.000
0.000 0.000 5.941
```

E_form (uncorrected) ... 0.44 eV/atom

A plane-wave DFT calculation with meta-GGA SCAN was carried out for a crystal of Y2BePt relaxed with PBEsol. Values from VASP.

Quantum ESPRESSO input file:
```
&SYSTEM
  ibrav = 0, nat = 4, ntyp = 3
/
ATOMIC_SPECIES
Y 88.91 Y.upf
Be 9.01 Be.upf
Pt 195.08 Pt.upf
ATOMIC_POSITIONS crystal
Y 0.110 0.000 0.219
Y 0.395 0.500 0.789
Be 0.811 0.000 0.622
Pt 0.690 0.500 0.381
CELL_PARAMETERS angstrom
-0.147 1.233 3.731
1.256 -3.743 1.286
4.943 0.910 -2.178
```

Formation enthalpy at 0 K ... -0.831 eV/atom

A plane-wave DFT calculation with meta-GGA SCAN was carried out for a crystal of CaCdS2Cl relaxed with PBEsol. Values from VASP.

Quantum ESPRESSO input file:
```
&SYSTEM
  ibrav = 0, nat = 5, ntyp = 4
/
ATOMIC_SPECIES
Ca 40.08 Ca.upf
Cl 35.45 Cl.upf
S 32.06 S.upf
Cd 112.41 Cd.upf
ATOMIC_POSITIONS crystal
Ca 0.500 0.500 0.500
Cl 0.000 0.000 0.500
S 0.000 0.500 0.000
S 0.500 0.000 0.000
Cd 0.000 0.000 0.000
CELL_PARAMETERS angstrom
4.894 0.000 0.000
0.000 4.894 0.000
0.000 0.000 5.121
```

E_form (uncorrected) ... -0.90 eV/atom

A plane-wave DFT calculation with meta-GGA SCAN was carried out for a crystal of Si2SnO6 relaxed with PBEsol. Values from VASP.

Quantum ESPRESSO input file:
```
&SYSTEM
  ibrav = 0, nat = 18, ntyp = 3
/
ATOMIC_SPECIES
Si 28.09 Si.upf
Sn 118.71 Sn.upf
O 16.00 O.upf
ATOMIC_POSITIONS crystal
Si 0.740 0.385 0.218
Si 0.760 0.782 0.615
Si 0.240 0.218 0.385
Si 0.260 0.615 0.782
Sn 0.750 0.891 0.109
Sn 0.250 0.109 0.891
O 0.963 0.365 0.351
O 0.537 0.649 0.635
O 0.037 0.635 0.649
O 0.463 0.351 0.365
O 0.697 0.607 0.095
O 0.803 0.905 0.393
O 0.303 0.393 0.905
O 0.197 0.095 0.607
O 0.354 0.050 0.188
O 0.146 0.812 0.950
O 0.854 0.188 0.050
O 0.646 0.950 0.812
CELL_PARAMETERS angstrom
5.375 0.001 0.001
1.627 6.403 0.001
1.627 0.162 6.401
```

E_form (uncorrected) ... -2.58 eV/atom

A plane-wave DFT calculation with meta-GGA SCAN was carried out for a crystal of TlRhW2 relaxed with PBEsol. Values from VASP.

Quantum ESPRESSO input file:
```
_Written answer_
Quantum ESPRESSO input file:
Quantum ESPRESSO input file:
Quantum ESPRESSO input file:
Quantum ESPRESSO input file:
Quantum ESPRESSO input file:
Quantum ESPRESSO input file:
Quantum ESPRESSO input file: